_Contents_
********
# 1
Density functional theory data (ωB97M-V/def2-TZVPD) for a cluster of 4 separate species, C2H11O4 in total in a non-equilibrium geometry.

Properties
frontier orbital gap: 8.86 eV
HOMO energy: -4.7 eV
net charge: -1
electronic energy: -10443.2896 eV
relative energy (zero: lowest compared OMol25 entry of this formula, charge and spin): 0.5993 eV

CARTESIAN COORDINATES (ANGSTROEM)
O1 0.153 0.410 0.039
O2 -1.820 2.040 -0.399
O3 0.131 1.466 -2.170
O4 2.276 0.344 1.372
C1 -0.487 -0.831 -0.143
C2 -0.052 -1.800 0.969
H1 0.130 -1.327 1.944
H2 -0.788 -2.624 1.268
H3 -0.275 -1.213 -1.160
H4 -0.086 0.676 -2.662
H5 0.404 1.093 -1.186
H6 -1.563 -0.690 -0.060
H7 0.930 -2.291 0.880
H8 -1.334 1.849 -1.215
H9 1.364 0.197 0.911
H10 2.384 1.276 1.420
H11 -1.367 1.424 0.193

These are the Mulliken partial charges, in e, on atoms 1 to 5: number 1, O, carries -0.910; number 2, O, carries -0.750; number 3, O, carries -0.852; number 4, O, carries -0.774; number 5, C, carries 0.083



# 2
Density functional theory data (ωB97M-V/def2-TZVPD) for a structure of composition C51H44BrClN3O8PSTi in a non-equilibrium geometry.

Properties
frontier orbital gap (spin up / spin down): 5.14 / 6.72 eV
HOMO energy (spin up / spin down): -1.2 / -2.8 eV
net charge: -2
electronic energy: -200261.7784 eV
2S+1: 3
relative energy (zero: lowest compared OMol25 entry of this formula, charge and spin): 1.7312 eV

CARTESIAN COORDINATES (ANGSTROEM)
Br1 2.989 2.771 7.299
Ti1 0.787 -1.189 -0.879
Cl1 0.433 0.846 -4.156
S1 -3.863 -1.228 4.400
P1 -0.294 2.359 -1.340
O1 -5.209 -1.248 4.912
O2 0.467 -1.396 1.367
O3 1.676 -1.568 -2.795
O4 -2.788 -0.990 5.329
O5 0.689 2.292 1.287
O6 2.287 -0.017 -0.504
O7 0.844 4.190 2.488
O8 -0.967 -0.345 0.090
N1 2.059 -2.804 -0.489
N2 -0.630 -2.850 -1.073
N3 -3.836 -0.188 3.123
C1 4.324 0.930 0.171
C2 2.023 2.752 4.609
C3 1.573 -4.092 -0.987
C4 5.622 0.756 0.573
C5 2.288 0.921 3.073
C6 -4.170 2.360 -0.111
C7 -0.280 -2.666 -3.521
C8 -0.548 -0.670 1.243
C9 0.914 3.739 -1.297
C10 -1.898 3.751 -5.537
C11 1.813 2.198 3.351
C12 2.973 0.201 4.041
C13 -2.985 2.197 -0.812
C14 1.082 -3.533 -5.785
C15 -0.619 2.232 -4.186
C16 5.383 -1.623 0.483
C17 -2.882 -4.884 1.902
C18 -1.799 2.793 -0.378
C19 2.700 2.014 5.561
C20 1.099 -2.333 -3.669
C21 -0.971 2.880 -3.011
C22 -4.191 3.117 1.054
C23 0.038 -4.142 -1.035
C24 3.296 -2.709 -0.185
C25 -2.826 -0.384 2.056
C26 3.159 4.350 -1.954
C27 -0.896 -2.241 -2.242
C28 -0.279 -3.793 -5.669
C29 -1.359 -0.190 2.427
C30 -2.240 -3.255 3.568
C31 2.960 5.634 -1.466
C32 1.769 -2.825 -4.810
C33 -4.509 -3.309 2.750
C34 -1.825 3.544 0.798
C35 -1.926 -4.326 2.740
C36 -0.944 -3.354 -4.524
C37 4.043 -1.496 0.081
C38 6.176 -0.528 0.729
C39 0.727 5.024 -0.800
C40 1.744 5.964 -0.885
C41 3.496 -0.196 -0.104
C42 -1.072 2.648 -5.437
C43 -2.263 4.434 -4.379
C44 3.184 0.742 5.303
C45 1.046 2.975 2.272
C46 2.146 3.406 -1.862
C47 -4.182 -4.378 1.936
C48 -3.525 -2.745 3.551
C49 -2.523 -5.982 0.941
C50 -3.015 3.703 1.501
C51 -1.803 4.000 -3.151
H1 -5.114 3.237 1.610
H2 6.229 1.630 0.786
H3 -0.315 -4.631 -0.120
H4 2.088 0.500 2.097
H5 -2.904 5.306 -4.434
H6 -0.259 -4.768 -1.886
H7 5.793 -2.622 0.603
H8 -1.496 -6.315 1.086
H9 1.619 -3.878 -6.664
H10 -5.072 1.876 -0.467
H11 3.867 1.907 0.073
H12 -2.980 1.579 -1.704
H13 1.590 6.954 -0.472
H14 -0.908 -4.693 2.715
H15 -0.205 5.297 -0.326
H16 -3.087 0.308 1.261
H17 -1.056 -0.741 3.316
H18 2.313 2.391 -2.208
H19 1.660 3.752 4.802
H20 3.756 6.368 -1.519
H21 -5.507 -2.890 2.744
H22 -2.977 -1.382 1.650
H23 -0.764 2.093 -6.313
H24 -1.131 0.866 2.594
H25 3.892 -3.632 -0.142
H26 4.110 4.069 -2.390
H27 3.338 -0.793 3.813
H28 -3.006 4.286 2.415
H29 -2.003 -3.561 -4.400
H30 -0.808 -4.333 -6.444
H31 1.962 -4.911 -0.369
H32 3.706 0.190 6.074
H33 -2.095 4.543 -2.260
H34 -3.822 0.765 3.480
H35 -1.720 -1.528 -2.238
H36 1.974 -4.215 -1.996
H37 -2.613 -5.628 -0.088
H38 2.823 -2.595 -4.918
H39 -1.482 -2.791 4.183
H40 -3.185 -6.843 1.059
H41 -4.939 -4.805 1.287
H42 -0.913 3.973 1.194
H43 7.205 -0.653 1.043
********
_Work order_
It remains to find "C34 -1.825" and "-0.528 0.729" in the entries further above, and quote these two lines and those between.
_Outcome_
C34 -1.825 3.544 0.798
C35 -1.926 -4.326 2.740
C36 -0.944 -3.354 -4.524
C37 4.043 -1.496 0.081
C38 6.176 -0.528 0.729